Work order >
Your job: set down everything further below without altering anything.
Input >
********
1.
LiFeF4: theoretical powder X-ray diffraction pattern (Cu Kα), based on a structure optimized by DFT (GGA+U).
Lines closer than 0.1° are merged.

Cell: 4.9464 6.0908 6.2127 Å, 119.35 108.99 90.00°
Space group P1 (No. 1)
Inequivalent atoms, fractional coordinates:
Li1 0.0000 0.0000 0.0000 x1
Li2 0.5000 0.5000 0.0000 x1
Fe1 0.2500 0.6595 0.5000 x1
Fe2 0.7500 0.3405 0.5000 x1
F1 0.1665 0.4990 0.7101 x1
F2 0.1872 0.9652 0.7540 x1
F3 0.3092 0.7324 0.2508 x1
F4 0.3343 0.3051 0.2894 x1
F5 0.6665 0.7111 0.7101 x1
F6 0.6872 0.2888 0.7540 x1
F7 0.8128 0.0348 0.2460 x1
F8 0.8335 0.5010 0.2899 x1

Largest 8 diffraction maxima, low angle first, 2θ from 10° to 80°:
| Position (°2θ) | I_rel |
| --- | --- |
| 17.02 | 96.8 |
| 17.65 | 100.0 |
| 23.22 | 60.2 |
| 28.30 | 59.6 |
| 36.22 | 48.0 |
| 39.27 | 31.6 |
| 45.25 | 59.0 |
| 49.45 | 23.8 |

2.
Mn4P3O12: theoretical powder X-ray diffraction pattern (Cu Kα), based on a structure optimized by DFT (GGA+U).
Lines closer than 0.1° are merged.

Cell: 6.7736 6.7736 19.5894 Å, 90.00 90.00 90.00°
Space group I-42d (No. 122)
Inequivalent atoms, fractional coordinates:
Mn1 0.0000 0.0000 0.2305 x8
Mn2 0.2487 0.7500 0.6250 x8
P1 0.0000 0.0000 0.0000 x4
P2 0.1555 0.2500 0.6250 x8
O1 0.0064 0.2012 0.6844 x16
O2 0.0657 0.6850 0.2084 x16
O3 0.0685 0.7205 0.3966 x16

Largest 8 diffraction maxima, low angle first, 2θ from 10° to 80°:
| Position (°2θ) | I_rel |
| --- | --- |
| 20.64 | 25.7 |
| 26.28 | 21.0 |
| 29.85 | 19.4 |
| 32.13 | 100.0 |
| 43.24 | 17.2 |
| 53.52 | 18.4 |
| 54.15 | 20.8 |
| 64.40 | 14.7 |

3.
Li5Mn3O8: theoretical powder X-ray diffraction pattern (Cu Kα), based on a structure optimized by DFT (GGA+U).
Lines closer than 0.1° are merged.

Cell: 10.1824 11.8394 5.0009 Å, 90.00 108.72 90.00°
Space group C2/m (No. 12)
Inequivalent atoms, fractional coordinates:
Li1 0.0000 0.2485 0.0000 x4
Li2 0.2466 0.3689 0.0043 x8
Li3 0.2474 0.5000 0.5039 x4
Li4 0.2500 0.2500 0.5000 x4
Mn1 0.0000 0.0000 0.0000 x2
Mn2 0.0000 0.1276 0.5000 x4
Mn3 0.0000 0.3732 0.5000 x4
Mn4 0.0000 0.5000 0.0000 x2
O1 0.1078 0.0000 0.7416 x4
O2 0.1099 0.1154 0.2486 x8
O3 0.1095 0.3832 0.2488 x8
O4 0.1180 0.2383 0.7225 x8
O5 0.1191 0.5000 0.7692 x4

Largest 8 diffraction maxima, low angle first, 2θ from 10° to 80°:
| Position (°2θ) | I_rel |
| --- | --- |
| 14.97 | 16.2 |
| 18.40 | 100.0 |
| 24.06 | 12.4 |
| 35.77 | 25.5 |
| 43.38 | 64.6 |
| 44.18 | 30.3 |
| 63.16 | 16.3 |
| 64.12 | 16.2 |

4.
MgCo4Ag4O8: theoretical powder X-ray diffraction pattern (Cu Kα), based on a structure optimized by DFT (GGA+U).
Lines closer than 0.1° are merged.

Cell: 5.3944 3.0423 26.8879 Å, 90.00 91.55 90.00°
Space group Cm (No. 8)
Inequivalent atoms, fractional coordinates:
Mg1 0.0000 0.0000 0.0000 x2
Co1 0.1772 0.5000 0.1018 x2
Co2 0.3447 0.5000 0.7853 x2
Co3 0.4589 0.0000 0.3241 x2
Co4 0.4853 0.0000 0.5542 x2
Ag1 0.0507 0.0000 0.2097 x2
Ag2 0.1659 0.0000 0.6697 x2
Ag3 0.3215 0.5000 0.4386 x2
Ag4 0.4899 0.0000 0.9046 x2
O1 0.0107 0.0000 0.1306 x2
O2 0.0106 0.5000 0.8220 x2
O3 0.0975 0.0000 0.2876 x2
O4 0.1557 0.0000 0.5912 x2
O5 0.1743 0.5000 0.0278 x2
O6 0.1750 0.0000 0.7476 x2
O7 0.3163 0.5000 0.5167 x2
O8 0.3187 0.5000 0.3604 x2

Largest 8 diffraction maxima, low angle first, 2θ from 10° to 80°:
| Position (°2θ) | I_rel |
| --- | --- |
| 29.92 | 100.0 |
| 34.09 | 32.6 |
| 34.45 | 93.2 |
| 34.59 | 36.3 |
| 35.46 | 55.5 |
| 36.62 | 42.0 |
| 37.66 | 54.2 |
| 59.77 | 35.7 |

5.
Li4FeOF5: theoretical powder X-ray diffraction pattern (Cu Kα), based on a structure optimized by DFT (GGA+U).
Lines closer than 0.1° are merged.

Cell: 5.1543 5.1543 14.4338 Å, 90.00 90.00 120.00°
Space group P3_1 (No. 144)
Inequivalent atoms, fractional coordinates:
Li1 0.0829 0.8472 0.0000 x3
Li2 0.0924 0.2063 0.8263 x3
Li3 0.1223 0.5522 0.6566 x3
Li4 0.4426 0.2136 0.6654 x3
Fe1 0.4703 0.2502 0.1522 x3
O1 0.4603 0.1976 0.4108 x3
F1 0.0614 0.1947 0.5741 x3
F2 0.0778 0.8890 0.7409 x3
F3 0.0795 0.5291 0.9156 x3
F4 0.0861 0.5440 0.4030 x3
F5 0.4483 0.2618 0.9052 x3
********
Response >
1.
LiFeF4: theoretical powder X-ray diffraction pattern (Cu Kα), based on a structure optimized by DFT (GGA+U).
Lines closer than 0.1° are merged.

Cell: 4.9464 6.0908 6.2127 Å, 119.35 108.99 90.00°
Space group P1 (No. 1)
Inequivalent atoms, fractional coordinates:
Li1 0.0000 0.0000 0.0000 x1
Li2 0.5000 0.5000 0.0000 x1
Fe1 0.2500 0.6595 0.5000 x1
Fe2 0.7500 0.3405 0.5000 x1
F1 0.1665 0.4990 0.7101 x1
F2 0.1872 0.9652 0.7540 x1
F3 0.3092 0.7324 0.2508 x1
F4 0.3343 0.3051 0.2894 x1
F5 0.6665 0.7111 0.7101 x1
F6 0.6872 0.2888 0.7540 x1
F7 0.8128 0.0348 0.2460 x1
F8 0.8335 0.5010 0.2899 x1

Largest 8 diffraction maxima, low angle first, 2θ from 10° to 80°:
| Position (°2θ) | I_rel |
| --- | --- |
| 17.02 | 96.8 |
| 17.65 | 100.0 |
| 23.22 | 60.2 |
| 28.30 | 59.6 |
| 36.22 | 48.0 |
| 39.27 | 31.6 |
| 45.25 | 59.0 |
| 49.45 | 23.8 |

2.
Mn4P3O12: theoretical powder X-ray diffraction pattern (Cu Kα), based on a structure optimized by DFT (GGA+U).
Lines closer than 0.1° are merged.

Cell: 6.7736 6.7736 19.5894 Å, 90.00 90.00 90.00°
Space group I-42d (No. 122)
Inequivalent atoms, fractional coordinates:
Mn1 0.0000 0.0000 0.2305 x8
Mn2 0.2487 0.7500 0.6250 x8
P1 0.0000 0.0000 0.0000 x4
P2 0.1555 0.2500 0.6250 x8
O1 0.0064 0.2012 0.6844 x16
O2 0.0657 0.6850 0.2084 x16
O3 0.0685 0.7205 0.3966 x16

Largest 8 diffraction maxima, low angle first, 2θ from 10° to 80°:
| Position (°2θ) | I_rel |
| --- | --- |
| 20.64 | 25.7 |
| 26.28 | 21.0 |
| 29.85 | 19.4 |
| 32.13 | 100.0 |
| 43.24 | 17.2 |
| 53.52 | 18.4 |
| 54.15 | 20.8 |
| 64.40 | 14.7 |

3.
Li5Mn3O8: theoretical powder X-ray diffraction pattern (Cu Kα), based on a structure optimized by DFT (GGA+U).
Lines closer than 0.1° are merged.

Cell: 10.1824 11.8394 5.0009 Å, 90.00 108.72 90.00°
Space group C2/m (No. 12)
Inequivalent atoms, fractional coordinates:
Li1 0.0000 0.2485 0.0000 x4
Li2 0.2466 0.3689 0.0043 x8
Li3 0.2474 0.5000 0.5039 x4
Li4 0.2500 0.2500 0.5000 x4
Mn1 0.0000 0.0000 0.0000 x2
Mn2 0.0000 0.1276 0.5000 x4
Mn3 0.0000 0.3732 0.5000 x4
Mn4 0.0000 0.5000 0.0000 x2
O1 0.1078 0.0000 0.7416 x4
O2 0.1099 0.1154 0.2486 x8
O3 0.1095 0.3832 0.2488 x8
O4 0.1180 0.2383 0.7225 x8
O5 0.1191 0.5000 0.7692 x4

Largest 8 diffraction maxima, low angle first, 2θ from 10° to 80°:
| Position (°2θ) | I_rel |
| --- | --- |
| 14.97 | 16.2 |
| 18.40 | 100.0 |
| 24.06 | 12.4 |
| 35.77 | 25.5 |
| 43.38 | 64.6 |
| 44.18 | 30.3 |
| 63.16 | 16.3 |
| 64.12 | 16.2 |

4.
MgCo4Ag4O8: theoretical powder X-ray diffraction pattern (Cu Kα), based on a structure optimized by DFT (GGA+U).
Lines closer than 0.1° are merged.

Cell: 5.3944 3.0423 26.8879 Å, 90.00 91.55 90.00°
Space group Cm (No. 8)
Inequivalent atoms, fractional coordinates:
Mg1 0.0000 0.0000 0.0000 x2
Co1 0.1772 0.5000 0.1018 x2
Co2 0.3447 0.5000 0.7853 x2
Co3 0.4589 0.0000 0.3241 x2
Co4 0.4853 0.0000 0.5542 x2
Ag1 0.0507 0.0000 0.2097 x2
Ag2 0.1659 0.0000 0.6697 x2
Ag3 0.3215 0.5000 0.4386 x2
Ag4 0.4899 0.0000 0.9046 x2
O1 0.0107 0.0000 0.1306 x2
O2 0.0106 0.5000 0.8220 x2
O3 0.0975 0.0000 0.2876 x2
O4 0.1557 0.0000 0.5912 x2
O5 0.1743 0.5000 0.0278 x2
O6 0.1750 0.0000 0.7476 x2
O7 0.3163 0.5000 0.5167 x2
O8 0.3187 0.5000 0.3604 x2

Largest 8 diffraction maxima, low angle first, 2θ from 10° to 80°:
| Position (°2θ) | I_rel |
| --- | --- |
| 29.92 | 100.0 |
| 34.09 | 32.6 |
| 34.45 | 93.2 |
| 34.59 | 36.3 |
| 35.46 | 55.5 |
| 36.62 | 42.0 |
| 37.66 | 54.2 |
| 59.77 | 35.7 |

5.
Li4FeOF5: theoretical powder X-ray diffraction pattern (Cu Kα), based on a structure optimized by DFT (GGA+U).
Lines closer than 0.1° are merged.

Cell: 5.1543 5.1543 14.4338 Å, 90.00 90.00 120.00°
Space group P3_1 (No. 144)
Inequivalent atoms, fractional coordinates:
Li1 0.0829 0.8472 0.0000 x3
Li2 0.0924 0.2063 0.8263 x3
Li3 0.1223 0.5522 0.6566 x3
Li4 0.4426 0.2136 0.6654 x3
Fe1 0.4703 0.2502 0.1522 x3
O1 0.4603 0.1976 0.4108 x3
F1 0.0614 0.1947 0.5741 x3
F2 0.0778 0.8890 0.7409 x3
F3 0.0795 0.5291 0.9156 x3
F4 0.0861 0.5440 0.4030 x3
F5 0.4483 0.2618 0.9052 x3